Putting the Tech in MedTech
Putting the Tech in MedTech
Making the impossible possible
A pacemaker the size of a large vitamin is “listening” as blood flows from the heart’s upper chamber to the lower chamber. When it detects the correct vibration, the tiny, wireless device sends an electronic signal to the lower chamber to sync it with the upper chamber, keeping the heart beating as it should. Two decades ago, such technology sounded like science fiction. Yet today, it is unlocking the world’s most complex operating system — the human body. By using tools like artificial intelligence (AI), robotics, and predictive modeling, we are creating a bold new era in personalized medicine, one where technology makes healthcare more efficient, accessible, and equitable. We have seen the future, and it is distinctly digital.
对于大多数心脏病患者而言,经常进行医疗任命是生活的事实。但是,对于那些拥有蓝牙的起搏器和手机上的应用程序的人来说,遵守远程监控方案比以往任何时候都容易。该系统及其与更好的临床结果的联系正在赢得患者和医生的荣誉 - 著名的克利夫兰诊所刚刚称为智能手机相关的起搏器one of the top 10 medical innovations of 2021。
Big data, big results
“Science is but a perversion of itself unless it has as its ultimate goal the betterment of humanity.” – Nikola Tesla, electrical engineer and inventor
如果石油是定义过去几个世纪的商品,那么数据是将塑造下一个的资源。在Medtronic,我们正在使用AI和机器学习来筛选数据山,并开发下一代的传感技术来为神经刺激器,起搏器,胰岛素泵和手术工具提供动力。Our smart devices are designed to be smaller, work faster, and help physicians tailor care对于前所未有的患者。例如,我们的深脑刺激(DBS)系统是同类系统中的第一个具有感知和记录大脑信号的能力,同时为与帕金森氏病,基本震颤,肌张力障碍,癫痫或强迫症相关的神经系统疾病的患者提供治疗障碍(OCD)。当我们看到不太遥不可及的未来时,我们看到了一个DBS系统,该系统可以感知大脑信号并自动调整刺激以优化患者的治疗。想象一下,无需任何干预措施,实时缓解患者。我们可以。
我们无法预测未来。但结合计算机模型和现实世界数据,我们的工程师构建了设备的虚拟表示或“数字双胞胎”,以预测他们在各种情况下如何在人体中做出反应。该测试能力有助于创建最有效的医疗技术。Medtronic杰出的科学家马克·帕尔默(Mark Palmer)解释说:“当我们将(对设备)和患者数据的机械理解汇总在一起时,我们就会获得有关该设备和患者如何共存的更完整的了解。”
<<<
(1)
Below is Er6Te3AuSe2 after structural relaxation, with properties calculated at the GGA-PBE level. Values from VASP.

Summary:
The symmetry is C2/m. The crystal system is monoclinic.

Structure (Quantum ESPRESSO input):
```
&SYSTEM
  ibrav = 0, nat = 12, ntyp = 4
/
ATOMIC_SPECIES
Er 167.26 Er.upf
Te 127.60 Te.upf
Au 196.97 Au.upf
Se 78.96 Se.upf
CELL_PARAMETERS angstrom
-1.981 -1.510 6.831
-4.850 -0.580 -5.386
4.093 -5.978 -1.416
ATOMIC_POSITIONS angstrom
Er -1.572 -6.403 1.982
Er -4.211 -2.922 0.766
Er -1.166 -1.666 -1.954
Er -2.502 -6.101 -1.978
Er 1.473 -5.146 -0.738
Er -0.236 -1.967 2.007
Te -2.309 -3.729 -3.989
Te -0.429 -4.339 4.017
Te -1.369 -4.034 0.014
Au 0.000 0.000 0.000
Se -3.889 -0.892 -1.294
Se -2.942 -1.199 2.738
```

---

(2)
Below is Pr2RuC2N6 after structural relaxation, with properties calculated at the GGA-PBE level. Values from VASP.

Summary:
The symmetry is R-3m. The crystal system is trigonal.

Structure (Quantum ESPRESSO input):
```
&SYSTEM
  ibrav = 0, nat = 11, ntyp = 4
/
ATOMIC_SPECIES
Pr 140.91 Pr.upf
Ru 101.07 Ru.upf
C 12.01 C.upf
N 14.01 N.upf
CELL_PARAMETERS angstrom
5.176 0.000 0.000
2.588 4.483 0.000
2.588 1.494 5.254
ATOMIC_POSITIONS angstrom
Pr 7.765 4.483 3.479
Pr 2.588 1.494 1.775
Ru 0.000 0.000 0.000
C 5.176 2.989 4.040
C 5.176 2.989 1.214
N 6.358 3.671 1.291
N 3.995 3.671 1.291
N 5.176 1.624 1.291
N 5.176 4.353 3.963
N 6.358 2.306 3.963
N 3.995 2.306 3.963
```

---

no.,size of the total moment (μB per formula unit),VASP energy (eV per atom)
1,0.000,-5.28
2,0.000,-8.30

----------

The following is a PBE calculation of AlCdH2 after structural relaxation, from Alexandria.

a = 3.061 Å, b = 3.061 Å, c = 6.547 Å
α = 76.48°, β = 76.48°, γ = 60.00°
Fractional positions:
H (0.124, 0.124, 0.627)
H (0.876, 0.876, 0.373)
Al (0.500, 0.500, 0.500)
Cd (0.000, 0.000, 0.000)

Its density of states at the Fermi level is 1.3 states/eV per cell. As for the crystal system: trigonal. The space group is R-3m. The total energy is -2.54 eV/atom.

The following is a PBE calculation of TbSc2AgO after structural relaxation, from Alexandria.

a = 4.437 Å, b = 4.437 Å, c = 4.774 Å
α = 90.00°, β = 90.00°, γ = 90.00°
Fractional positions:
Tb (0.000, 0.000, 0.500)
Sc (0.000, 0.500, 0.000)
Sc (0.500, 0.000, 0.000)
Ag (0.500, 0.500, 0.500)
O (0.000, 0.000, 0.000)

The formation energy without anion corrections is -6.4 eV per formula unit. Its density of states at the Fermi level is 5.7 states/eV per cell. As for the crystal system: tetragonal. The space group is P4/mmm.

The following is a PBE calculation of CsRh2S3 after structural relaxation, from Alexandria.

a = 5.581 Å, b = 7.542 Å, c = 7.915 Å
α = 118.45°, β = 90.00°, γ = 90.00°
Fractional positions:
Cs (0.750, 0.262, 0.524)
Cs (0.250, 0.738, 0.476)
Rh (0.500, 0.187, 0.000)
Rh (0.500, 0.813, 0.000)
Rh (0.000, 0.813, 0.000)
Rh (0.000, 0.187, 0.000)
S (0.250, 0.539, 0.804)
S (0.750, 0.461, 0.196)
S (0.750, 0.735, 0.196)
S (0.250, 0.265, 0.804)
S (0.250, 0.088, 0.177)
>>>
“医疗技术的一些最大进步目前正在Medtronic展开。”- Medtronic董事长兼首席执行官Geoff Martha
The pressures of parenting begin the day your child is born. When that child is living with a chronic disease like Type 1 diabetes, the concern is only amplified. When Medtronic first introduced the hybrid closed loop system for Type 1 diabetes — which combines insulin pump therapy with continuous glucose monitoring — patients found peace of mind they hadn’t known before.Recently approved for use in patients as young as 2,最新系统还提供智能手机连接,为患者和护理人员提供定期更新和警报。对于依靠每日多次注射(MDI)的糖尿病患者,连接护理的力量现在也是他们的, as a result of the integration of our continuous glucose monitoring system with the only smart insulin pen cleared by the Food and Drug Administration (FDA). Now, patients can view up-to-date glucose readings and dosage information on a single app.
Record 1
Below is a relaxed structure of NdDyHoTl, with properties calculated at the GGA-PBE level.

CIF file:
```
data_NdDyHoTl
_space_group_name_H-M_alt 'F -4 3 m'
_space_group_IT_number 216
_space_group_name_Hall 'F -4 2 3'
_cell_length_a 7.8081
_cell_length_b 7.8081
_cell_length_c 7.8081
_cell_angle_alpha 90.00
_cell_angle_beta 90.00
_cell_angle_gamma 90.00
loop_
_atom_site_label
_atom_site_type_symbol
_atom_site_fract_x
_atom_site_fract_y
_atom_site_fract_z
Nd1 Nd 0.0000 0.0000 0.0000
Dy1 Dy 0.0000 0.0000 0.5000
Ho1 Ho 0.2500 0.2500 0.2500
Tl1 Tl 0.2500 0.2500 0.7500
```

Values from the calculation:
Electronic total energy: -0.3032 Ry/atom
ΔH_f (0 K): -4 kJ per mole of atoms
Excess energy over the best structure of this formula in the dataset: 0.136 eV per atom



Record 2
Below is a relaxed structure of HfTaMoOs, with properties calculated at the GGA-PBE level.

CIF file:
```
data_HfTaMoOs
_space_group_name_H-M_alt 'P 4 m m'
_space_group_IT_number 99
_space_group_name_Hall 'P 4 -2'
_cell_length_a 3.2317
_cell_length_b 3.2317
_cell_length_c 6.5443
_cell_angle_alpha 90.00
_cell_angle_beta 90.00
_cell_angle_gamma 90.00
loop_
_atom_site_label
_atom_site_type_symbol
_atom_site_fract_x
_atom_site_fract_y
_atom_site_fract_z
Hf1 Hf 0.0000 0.0000 0.0000
Ta1 Ta 0.0000 0.0000 0.5007
Mo1 Mo 0.5000 0.5000 0.2592
Os1 Os 0.5000 0.5000 0.7434
```

Values from the calculation:
Electronic total energy: -0.8331 Ry/atom
ΔH_f (0 K): -36 kJ per mole of atoms
Excess energy over the best structure of this formula in the dataset: 0.035 eV per atom



Record 3
Below is a relaxed structure of LiDyEr, with properties calculated at the GGA-PBE level.

CIF file:
```
data_LiDyEr
_space_group_name_H-M_alt 'C 1 2/m 1'
_space_group_IT_number 12
_space_group_name_Hall '-C 2y'
_cell_length_a 4.8235
_cell_length_b 4.8067
_cell_length_c 16.0136
_cell_angle_alpha 90.00
_cell_angle_beta 98.48
_cell_angle_gamma 90.00
loop_
_atom_site_label
_atom_site_type_symbol
_atom_site_fract_x
_atom_site_fract_y
_atom_site_fract_z
Li1 Li 0.0531 0.0000 0.0995
Dy1 Dy 0.2087 0.0000 0.4164
Er1 Er 0.1306 0.5000 0.2575
```

Values from the calculation:
Electronic total energy: -0.2614 Ry/atom
ΔH_f (0 K): 13 kJ per mole of atoms
Excess energy over the best structure of this formula in the dataset: 0.042 eV per atom



Record 4
Below is a relaxed structure of Zn5Ag, with properties calculated at the GGA-PBE level.

CIF file:
```
data_Zn5Ag
_space_group_name_H-M_alt 'C m m m'
_space_group_IT_number 65
_space_group_name_Hall '-C 2 2'
_cell_length_a 3.9453
_cell_length_b 11.8695
_cell_length_c 3.9529
_cell_angle_alpha 90.00
_cell_angle_beta 90.00
_cell_angle_gamma 90.00
loop_
_atom_site_label
_atom_site_type_symbol
_atom_site_fract_x
_atom_site_fract_y
_atom_site_fract_z
Zn1 Zn 0.0000 0.0000 0.0000
Zn2 Zn 0.0000 0.1699 0.5000
Zn3 Zn 0.0000 0.3289 0.0000
Ag1 Ag 0.0000 0.5000 0.5000
```

Values from the calculation:
Electronic total energy: -0.1117 Ry/atom
ΔH_f (0 K): 2 kJ per mole of atoms



Record 5
[So much for the data records]
Live more, worry less
New tech, new frontiers
“我们新的机器人辅助手术平台旨在为外科医生,医院和我们工作的中心重点提供最有意义的解决方案。”- Medtronic手术机器人技术总裁Megan Rosengarten
Already, robots help deliver our packages and clean our homes. Making hard-to-reach places more accessible, robotic systems are likely to become operating room essentials, too. While they don’t replace the expertise of surgeons, our currentrobotic-assisted surgery (RAS) technologies旨在使外科医生在复杂的脊柱和颅骨手术中无与伦比的访问和精度。为了将RAS的好处扩展到其他外科专业,我们正在开发一个新的平台,用于最低侵入性手术,将机器人技术与下一代计算,可视化和AI结合在一起。模块化系统旨在为临床医生提供一种新的方式,以提供更可预测的,标准化但个性化的患者护理。
Surgical training, on demand
当外科医生退休时,他们的医院失去了多年的宝贵专业知识。但是,如果可以保留这些知识来教下一代外科医生怎么办?最近被Medtronic收购数字手术has digitized more than 200 surgical simulations across nearly 20 specialties. Its mobile app, Touch Surgery™, is used by more than 2.5 million surgeons worldwide and is widely considered a cornerstone of 21st century medical education and training.
尽管医疗保健的未来令人兴奋,但它也是无可否认的复杂的。为了浏览这种不断变化的景观,医疗保健领导者必须共同努力,以确保医疗技术最需要的患者。在19日大流行期间,我们分享了我们的呼吸机之一的设计规格with anyone who wanted them. And when Elon Musk called to ask how he could help,我们与他在SpaceX的团队联手to make a critical ventilator component, the proportional solenoid (PSOL) valve. We know the pandemic will end someday, but a collaborative spirit must always prevail.
从礼物到杂货,shoppers count on Amazon to deliver life’s essentials to their door。患者也重视医疗保健方面的便利性,因此我们正在与亚马逊合作制定一项试点计划,以进行家庭诊断程序。配备了微型相机的可观胶囊直接交付给患者,有助于识别诸如铁缺乏症(IDA)和克罗恩病等疾病。数据被转移到云中,GI医生下载视频以告知诊断。
Technology has evolved, and so have we
Predicting the future is never easy, but here’s what we do know: pioneering new technologies will lead us to a better tomorrow. At Medtronic, our engineers and scientists are among the brightest minds in the world and are working together in new ways to unlock and accelerate the potential the latest digital technologies hold. We may not know what the future holds just yet, but we’re committed to building a better way forward, starting now.